-- File --
____________
# 1
The following is a quantum chemistry calculation of a molecular structure, C3H2I2O2 at a distorted geometry, from the Open Molecules 2025 dataset.

Energy relative to the best compared isomer or geometry (same formula, charge and spin): 27.7 kJ/mol
Calculated total energy: -861.3660 a.u.
Molar mass: 323.85 g mol⁻¹
E_LUMO: -0.3 eV

```
! RIJCOSX wB97M-V def2-TZVPD def2/J DEFGRID3
* xyz 0 1
C -0.229 -4.300 1.289
C -0.186 -0.339 -0.002
C -1.521 -0.460 0.075
O 0.685 -4.270 0.624
O -1.170 -4.118 1.893
I -2.655 -0.048 1.926
I -2.742 -0.940 -1.497
H 0.287 -0.412 -1.000
H 0.360 0.139 0.877
*
```

---

# 2
The following is a quantum chemistry calculation of 2 unconnected molecules or ions with the total composition C3H2IN3 at a distorted geometry, from the Open Molecules 2025 dataset.

Energy relative to the best compared isomer or geometry (same formula, charge and spin): 71.4 kJ/mol
Calculated total energy: -576.6370 a.u.
Molar mass: 206.97 g mol⁻¹
E_LUMO: -10.0 eV

```
! RIJCOSX wB97M-V def2-TZVPD def2/J DEFGRID3
* xyz 2 1
C -0.942 -1.081 -0.287
C -3.114 -2.121 0.141
C 2.584 1.529 0.002
N 0.064 -0.551 -0.364
N -2.134 -1.637 -0.113
N 2.304 2.656 0.055
I 3.103 -0.302 -0.090
H -4.071 -2.249 0.564
H 2.207 3.755 0.091
*
```

---

# 3
The following is a quantum chemistry calculation of a molecular structure, C3H2KO4 at a distorted geometry, from the Open Molecules 2025 dataset.

Calculated total energy: -1016.1975 a.u.
Molar mass: 141.14 g mol⁻¹
E_LUMO: -4.2 eV

```
! RIJCOSX wB97M-V def2-TZVPD def2/J DEFGRID3
* xyz 1 1
H -0.271 0.963 -2.339
C -3.679 2.873 -1.843
O -3.045 3.178 -0.916
O -4.317 2.727 -2.796
O 0.278 0.295 -2.797
C -0.022 0.211 -4.149
C 0.727 0.845 -5.044
O 1.366 1.352 -5.867
K 1.857 -1.338 -1.436
H -0.860 -0.400 -4.486
*
```

=====

[1]
# C17H55BN26O16

12 unconnected molecules or ions with the total composition C17H55BN26O16 in a non-equilibrium geometry (ωB97M-V with the def2-TZVPD basis set, OMol25).

Total energy = -90712.9249 eV
Kohn-Sham gap = 7.28 eV
SMILES = CCOCCOc1nnc(OB(O)O)nn1.NC(N)=O.NC(N)=O.NC(N)=O.NC(N)=O.NC(N)=O.NC(N)=O.NC(N)=O.NC(N)=O.NC(N)=O.NC(N)=O.NC(N)=O
E_HOMO = -0.32654 hartree

ORCA input file:
```
! RIJCOSX wB97M-V def2-TZVPD def2/J DEFGRID3
* xyz 0 1
C 1.68434 -3.05146 0.80736
C 1.95741 -2.58694 -0.62455
O 0.85268 -1.94065 -1.27571
C 0.59829 -0.67351 -0.71961
C -0.89114 -0.68598 -0.39113
O -1.34231 0.28318 0.59078
C -0.65641 1.39857 0.61207
N 0.00886 1.63569 1.71246
N 0.67576 2.77139 1.74233
C 0.63501 3.51505 0.66588
O 1.35447 4.61102 0.71908
B 1.70872 4.91117 2.05007
O 2.96686 4.67469 2.47973
O 0.81805 5.49268 2.92012
N -0.01828 3.28468 -0.44309
N -0.72904 2.16675 -0.46121
H 2.53508 -2.72906 1.39909
H 1.57267 -4.11535 0.90848
H 0.83120 -2.53776 1.23588
H 2.83136 -1.94546 -0.68767
H 2.17339 -3.46368 -1.22130
H 0.77028 0.07514 -1.48895
H 1.24134 -0.50158 0.13816
H -1.10925 -1.65523 0.02871
H -1.49418 -0.61500 -1.28535
H 3.11481 3.71105 2.46053
H 0.56551 4.80314 3.55180
C 3.45750 0.67207 2.29641
O 3.45837 1.53102 1.42392
N 4.54916 -0.08658 2.58624
N 2.34939 0.41753 3.06103
H 4.55782 -0.78741 3.30307
H 5.38896 0.07630 2.05279
H 1.52313 0.95915 2.87511
H 2.32082 -0.28012 3.78036
C -1.19219 -5.25760 -0.58779
O -0.22691 -5.55203 0.12038
N -1.10795 -4.30970 -1.54999
N -2.38986 -5.87568 -0.44166
H -1.87316 -4.04058 -2.14725
H -0.21968 -3.85316 -1.65712
H -2.44323 -6.57136 0.27512
H -3.20363 -5.69074 -0.99311
C -3.93532 4.36399 0.57878
O -4.19327 3.26973 1.05677
N -4.68348 5.47403 0.84337
N -2.87496 4.55321 -0.25823
H -4.48800 6.37968 0.46149
H -5.46949 5.36166 1.45619
H -2.32047 3.74907 -0.47678
H -2.63081 5.43822 -0.66093
C -0.93170 -9.63375 -0.07994
O -0.57276 -9.29789 -1.19379
N -1.25079 -10.93442 0.22115
N -1.04487 -8.75654 0.95870
H -1.54665 -11.23772 1.12895
H -1.17504 -11.60702 -0.51835
H -0.80908 -7.78922 0.77978
H -1.33265 -9.02352 1.88056
C 3.45839 -6.54556 -0.48467
O 3.21800 -5.78375 0.43329
N 2.52218 -7.41045 -0.96890
N 4.68037 -6.58730 -1.10816
H 2.68758 -8.04497 -1.72630
____________
-- Brief --
Next, transcribe everything above with every line break kept.
-- Here it is --
# 1
The following is a quantum chemistry calculation of a molecular structure, C3H2I2O2 at a distorted geometry, from the Open Molecules 2025 dataset.

Energy relative to the best compared isomer or geometry (same formula, charge and spin): 27.7 kJ/mol
Calculated total energy: -861.3660 a.u.
Molar mass: 323.85 g mol⁻¹
E_LUMO: -0.3 eV

```
! RIJCOSX wB97M-V def2-TZVPD def2/J DEFGRID3
* xyz 0 1
C -0.229 -4.300 1.289
C -0.186 -0.339 -0.002
C -1.521 -0.460 0.075
O 0.685 -4.270 0.624
O -1.170 -4.118 1.893
I -2.655 -0.048 1.926
I -2.742 -0.940 -1.497
H 0.287 -0.412 -1.000
H 0.360 0.139 0.877
*
```

---

# 2
The following is a quantum chemistry calculation of 2 unconnected molecules or ions with the total composition C3H2IN3 at a distorted geometry, from the Open Molecules 2025 dataset.

Energy relative to the best compared isomer or geometry (same formula, charge and spin): 71.4 kJ/mol
Calculated total energy: -576.6370 a.u.
Molar mass: 206.97 g mol⁻¹
E_LUMO: -10.0 eV

```
! RIJCOSX wB97M-V def2-TZVPD def2/J DEFGRID3
* xyz 2 1
C -0.942 -1.081 -0.287
C -3.114 -2.121 0.141
C 2.584 1.529 0.002
N 0.064 -0.551 -0.364
N -2.134 -1.637 -0.113
N 2.304 2.656 0.055
I 3.103 -0.302 -0.090
H -4.071 -2.249 0.564
H 2.207 3.755 0.091
*
```

---

# 3
The following is a quantum chemistry calculation of a molecular structure, C3H2KO4 at a distorted geometry, from the Open Molecules 2025 dataset.

Calculated total energy: -1016.1975 a.u.
Molar mass: 141.14 g mol⁻¹
E_LUMO: -4.2 eV

```
! RIJCOSX wB97M-V def2-TZVPD def2/J DEFGRID3
* xyz 1 1
H -0.271 0.963 -2.339
C -3.679 2.873 -1.843
O -3.045 3.178 -0.916
O -4.317 2.727 -2.796
O 0.278 0.295 -2.797
C -0.022 0.211 -4.149
C 0.727 0.845 -5.044
O 1.366 1.352 -5.867
K 1.857 -1.338 -1.436
H -0.860 -0.400 -4.486
*
```

=====

[1]
# C17H55BN26O16

12 unconnected molecules or ions with the total composition C17H55BN26O16 in a non-equilibrium geometry (ωB97M-V with the def2-TZVPD basis set, OMol25).

Total energy = -90712.9249 eV
Kohn-Sham gap = 7.28 eV
SMILES = CCOCCOc1nnc(OB(O)O)nn1.NC(N)=O.NC(N)=O.NC(N)=O.NC(N)=O.NC(N)=O.NC(N)=O.NC(N)=O.NC(N)=O.NC(N)=O.NC(N)=O.NC(N)=O
E_HOMO = -0.32654 hartree

ORCA input file:
```
! RIJCOSX wB97M-V def2-TZVPD def2/J DEFGRID3
* xyz 0 1
C 1.68434 -3.05146 0.80736
C 1.95741 -2.58694 -0.62455
O 0.85268 -1.94065 -1.27571
C 0.59829 -0.67351 -0.71961
C -0.89114 -0.68598 -0.39113
O -1.34231 0.28318 0.59078
C -0.65641 1.39857 0.61207
N 0.00886 1.63569 1.71246
N 0.67576 2.77139 1.74233
C 0.63501 3.51505 0.66588
O 1.35447 4.61102 0.71908
B 1.70872 4.91117 2.05007
O 2.96686 4.67469 2.47973
O 0.81805 5.49268 2.92012
N -0.01828 3.28468 -0.44309
N -0.72904 2.16675 -0.46121
H 2.53508 -2.72906 1.39909
H 1.57267 -4.11535 0.90848
H 0.83120 -2.53776 1.23588
H 2.83136 -1.94546 -0.68767
H 2.17339 -3.46368 -1.22130
H 0.77028 0.07514 -1.48895
H 1.24134 -0.50158 0.13816
H -1.10925 -1.65523 0.02871
H -1.49418 -0.61500 -1.28535
H 3.11481 3.71105 2.46053
H 0.56551 4.80314 3.55180
C 3.45750 0.67207 2.29641
O 3.45837 1.53102 1.42392
N 4.54916 -0.08658 2.58624
N 2.34939 0.41753 3.06103
H 4.55782 -0.78741 3.30307
H 5.38896 0.07630 2.05279
H 1.52313 0.95915 2.87511
H 2.32082 -0.28012 3.78036
C -1.19219 -5.25760 -0.58779
O -0.22691 -5.55203 0.12038
N -1.10795 -4.30970 -1.54999
N -2.38986 -5.87568 -0.44166
H -1.87316 -4.04058 -2.14725
H -0.21968 -3.85316 -1.65712
H -2.44323 -6.57136 0.27512
H -3.20363 -5.69074 -0.99311
C -3.93532 4.36399 0.57878
O -4.19327 3.26973 1.05677
N -4.68348 5.47403 0.84337
N -2.87496 4.55321 -0.25823
H -4.48800 6.37968 0.46149
H -5.46949 5.36166 1.45619
H -2.32047 3.74907 -0.47678
H -2.63081 5.43822 -0.66093
C -0.93170 -9.63375 -0.07994
O -0.57276 -9.29789 -1.19379
N -1.25079 -10.93442 0.22115
N -1.04487 -8.75654 0.95870
H -1.54665 -11.23772 1.12895
H -1.17504 -11.60702 -0.51835
H -0.80908 -7.78922 0.77978
H -1.33265 -9.02352 1.88056
C 3.45839 -6.54556 -0.48467
O 3.21800 -5.78375 0.43329
N 2.52218 -7.41045 -0.96890
N 4.68037 -6.58730 -1.10816
H 2.68758 -8.04497 -1.72630